_What to do_
What is needed: duplicate all of the contents underneath with every line break kept.

_Material_
********
First-principles (GGA-PBE) data for crystalline La3TaCl3O6 at its relaxed geometry, as listed in Materials Project.

Results
Formation energy from the elements, meV/atom: -3239

```
La3TaCl3O6
1.0
4.804 -8.320 0.000
4.804 8.320 0.000
0.000 0.000 5.424
O La Cl Ta
12 6 6 2
direct
0.364 0.523 0.516
0.477 0.841 0.984
0.841 0.364 0.484
0.523 0.159 0.016
0.159 0.636 0.984
0.477 0.841 0.516
0.523 0.159 0.484
0.364 0.523 0.984
0.841 0.364 0.016
0.636 0.477 0.484
0.159 0.636 0.516
0.636 0.477 0.016
0.315 0.910 0.250
0.685 0.090 0.750
0.595 0.685 0.250
0.405 0.315 0.750
0.910 0.595 0.750
0.090 0.405 0.250
0.760 0.810 0.750
0.240 0.190 0.250
0.949 0.760 0.250
0.810 0.051 0.250
0.051 0.240 0.750
0.190 0.949 0.750
0.333 0.667 0.750
0.667 0.333 0.250
```



First-principles (GGA-PBE) data for crystalline La2ThTaCl3O6 at its relaxed geometry, as listed in Materials Project.

Results
E above lowest polymorph, kJ per mole of atoms: 1.26
Formation energy from the elements, meV/atom: -3471

```
La2ThTaCl3O6
1.0
16.450 0.000 0.000
0.000 9.447 0.000
0.000 4.724 8.183
O Cl Ta La Th
36 18 6 12 6
direct
0.246 0.641 0.845
0.423 0.518 0.635
0.914 0.525 0.632
0.410 0.363 0.160
0.587 0.472 0.372
0.079 0.160 0.477
0.748 0.369 0.157
0.091 0.632 0.848
0.579 0.844 0.526
0.745 0.480 0.357
0.912 0.837 0.520
0.742 0.152 0.481
0.079 0.370 0.157
0.252 0.369 0.157
0.588 0.155 0.485
0.247 0.843 0.528
0.421 0.641 0.838
0.412 0.155 0.485
0.258 0.152 0.481
0.577 0.518 0.635
0.921 0.160 0.477
0.421 0.844 0.526
0.413 0.472 0.372
0.255 0.480 0.357
0.088 0.837 0.520
0.590 0.363 0.160
0.244 0.523 0.636
0.756 0.523 0.636
0.078 0.484 0.362
0.579 0.641 0.838
0.754 0.641 0.845
0.086 0.525 0.632
0.922 0.484 0.362
0.753 0.843 0.528
0.909 0.632 0.848
0.921 0.370 0.157
0.500 0.808 0.242
0.335 0.188 0.760
0.834 0.241 0.950
0.168 0.948 0.812
0.000 0.045 0.193
0.165 0.806 0.237
0.667 0.763 0.043
0.500 0.957 0.806
0.000 0.760 0.050
0.832 0.948 0.812
0.835 0.806 0.237
0.667 0.049 0.192
0.500 0.240 0.948
0.166 0.241 0.950
0.333 0.049 0.192
0.665 0.188 0.760
0.000 0.191 0.760
0.333 0.763 0.043
0.333 0.332 0.334
0.167 0.666 0.668
0.667 0.332 0.334
0.500 0.666 0.667
0.000 0.334 0.335
0.833 0.666 0.668
0.667 0.406 0.912
0.833 0.318 0.594
0.500 0.593 0.087
0.166 0.088 0.318
0.834 0.088 0.318
0.000 0.916 0.677
0.000 0.404 0.912
0.668 0.681 0.406
0.332 0.681 0.406
0.333 0.406 0.912
0.500 0.092 0.314
0.167 0.318 0.594
0.334 0.912 0.674
0.167 0.586 0.088
0.666 0.912 0.674
0.000 0.676 0.415
0.500 0.327 0.588
0.833 0.586 0.088
```



First-principles (GGA-PBE) data for crystalline La2ThTaCl3O6 at its relaxed geometry, as listed in Materials Project.

Results
E above lowest polymorph, kJ per mole of atoms: 0.00
Formation energy from the elements, meV/atom: -3484

```
La2ThTaCl3O6
1.0
5.484 0.000 0.000
0.000 9.404 0.000
0.000 4.639 8.217
Th Cl O La Ta
2 6 12 4 2
direct
0.000 0.083 0.586
0.000 0.585 0.326
0.500 0.053 0.756
0.000 0.235 0.807
0.000 0.946 0.239
0.000 0.812 0.952
0.500 0.759 0.191
0.500 0.189 0.054
0.769 0.848 0.634
0.741 0.366 0.477
0.739 0.480 0.163
0.738 0.156 0.370
0.764 0.524 0.838
0.259 0.366 0.477
0.236 0.524 0.838
0.231 0.635 0.517
0.261 0.480 0.163
0.262 0.156 0.370
0.231 0.848 0.634
0.769 0.635 0.517
0.500 0.908 0.406
0.500 0.408 0.690
0.000 0.322 0.083
0.500 0.683 0.911
0.500 0.335 0.333
0.000 0.667 0.666
```



First-principles (GGA-PBE) data for crystalline La5Pb3Cl at its relaxed geometry, as listed in Materials Project.

Results
Formation energy from the elements, meV/atom: -985

```
La5Pb3Cl
1.0
-7.708 3.944 -4.564
0.864 -9.729 0.628
-3.500 0.075 5.976
Cl La Pb
2 10 6
direct
0.000 0.000 0.500
0.000 0.000 0.000
0.000 0.737 0.750
0.333 0.667 0.000
0.000 0.263 0.250
0.667 0.333 0.000
0.263 0.263 0.750
0.667 0.333 0.500
0.737 0.000 0.750
0.737 0.737 0.250
0.263 0.000 0.250
0.333 0.667 0.500
0.000 0.385 0.750
0.615 0.615 0.750
0.385 0.385 0.250
0.000 0.615 0.250
0.385 0.000 0.750
0.615 0.000 0.250
```
********

_Written answer_
First-principles (GGA-PBE) data for crystalline La3TaCl3O6 at its relaxed geometry, as listed in Materials Project.

Results
Formation energy from the elements, meV/atom: -3239

```
La3TaCl3O6
1.0
4.804 -8.320 0.000
4.804 8.320 0.000
0.000 0.000 5.424
O La Cl Ta
12 6 6 2
direct
0.364 0.523 0.516
0.477 0.841 0.984
0.841 0.364 0.484
0.523 0.159 0.016
0.159 0.636 0.984
0.477 0.841 0.516
0.523 0.159 0.484
0.364 0.523 0.984
0.841 0.364 0.016
0.636 0.477 0.484
0.159 0.636 0.516
0.636 0.477 0.016
0.315 0.910 0.250
0.685 0.090 0.750
0.595 0.685 0.250
0.405 0.315 0.750
0.910 0.595 0.750
0.090 0.405 0.250
0.760 0.810 0.750
0.240 0.190 0.250
0.949 0.760 0.250
0.810 0.051 0.250
0.051 0.240 0.750
0.190 0.949 0.750
0.333 0.667 0.750
0.667 0.333 0.250
```



First-principles (GGA-PBE) data for crystalline La2ThTaCl3O6 at its relaxed geometry, as listed in Materials Project.

Results
E above lowest polymorph, kJ per mole of atoms: 1.26
Formation energy from the elements, meV/atom: -3471

```
La2ThTaCl3O6
1.0
16.450 0.000 0.000
0.000 9.447 0.000
0.000 4.724 8.183
O Cl Ta La Th
36 18 6 12 6
direct
0.246 0.641 0.845
0.423 0.518 0.635
0.914 0.525 0.632
0.410 0.363 0.160
0.587 0.472 0.372
0.079 0.160 0.477
0.748 0.369 0.157
0.091 0.632 0.848
0.579 0.844 0.526
0.745 0.480 0.357
0.912 0.837 0.520
0.742 0.152 0.481
0.079 0.370 0.157
0.252 0.369 0.157
0.588 0.155 0.485
0.247 0.843 0.528
0.421 0.641 0.838
0.412 0.155 0.485
0.258 0.152 0.481
0.577 0.518 0.635
0.921 0.160 0.477
0.421 0.844 0.526
0.413 0.472 0.372
0.255 0.480 0.357
0.088 0.837 0.520
0.590 0.363 0.160
0.244 0.523 0.636
0.756 0.523 0.636
0.078 0.484 0.362
0.579 0.641 0.838
0.754 0.641 0.845
0.086 0.525 0.632
0.922 0.484 0.362
0.753 0.843 0.528
0.909 0.632 0.848
0.921 0.370 0.157
0.500 0.808 0.242
0.335 0.188 0.760
0.834 0.241 0.950
0.168 0.948 0.812
0.000 0.045 0.193
0.165 0.806 0.237
0.667 0.763 0.043
0.500 0.957 0.806
0.000 0.760 0.050
0.832 0.948 0.812
0.835 0.806 0.237
0.667 0.049 0.192
0.500 0.240 0.948
0.166 0.241 0.950
0.333 0.049 0.192
0.665 0.188 0.760
0.000 0.191 0.760
0.333 0.763 0.043
0.333 0.332 0.334
0.167 0.666 0.668
0.667 0.332 0.334
0.500 0.666 0.667
0.000 0.334 0.335
0.833 0.666 0.668
0.667 0.406 0.912
0.833 0.318 0.594
0.500 0.593 0.087
0.166 0.088 0.318
0.834 0.088 0.318
0.000 0.916 0.677
0.000 0.404 0.912
0.668 0.681 0.406
0.332 0.681 0.406
0.333 0.406 0.912
0.500 0.092 0.314
0.167 0.318 0.594
0.334 0.912 0.674
0.167 0.586 0.088
0.666 0.912 0.674
0.000 0.676 0.415
0.500 0.327 0.588
0.833 0.586 0.088
```



First-principles (GGA-PBE) data for crystalline La2ThTaCl3O6 at its relaxed geometry, as listed in Materials Project.

Results
E above lowest polymorph, kJ per mole of atoms: 0.00
Formation energy from the elements, meV/atom: -3484

```
La2ThTaCl3O6
1.0
5.484 0.000 0.000
0.000 9.404 0.000
0.000 4.639 8.217
Th Cl O La Ta
2 6 12 4 2
direct
0.000 0.083 0.586
0.000 0.585 0.326
0.500 0.053 0.756
0.000 0.235 0.807
0.000 0.946 0.239
0.000 0.812 0.952
0.500 0.759 0.191
0.500 0.189 0.054
0.769 0.848 0.634
0.741 0.366 0.477
0.739 0.480 0.163
0.738 0.156 0.370
0.764 0.524 0.838
0.259 0.366 0.477
0.236 0.524 0.838
0.231 0.635 0.517
0.261 0.480 0.163
0.262 0.156 0.370
0.231 0.848 0.634
0.769 0.635 0.517
0.500 0.908 0.406
0.500 0.408 0.690
0.000 0.322 0.083
0.500 0.683 0.911
0.500 0.335 0.333
0.000 0.667 0.666
```



First-principles (GGA-PBE) data for crystalline La5Pb3Cl at its relaxed geometry, as listed in Materials Project.

Results
Formation energy from the elements, meV/atom: -985

```
La5Pb3Cl
1.0
-7.708 3.944 -4.564
0.864 -9.729 0.628
-3.500 0.075 5.976
Cl La Pb
2 10 6
direct
0.000 0.000 0.500
0.000 0.000 0.000
0.000 0.737 0.750
0.333 0.667 0.000
0.000 0.263 0.250
0.667 0.333 0.000
0.263 0.263 0.750
0.667 0.333 0.500
0.737 0.000 0.750
0.737 0.737 0.250
0.263 0.000 0.250
0.333 0.667 0.500
0.000 0.385 0.750
0.615 0.615 0.750
0.385 0.385 0.250
0.000 0.615 0.250
0.385 0.000 0.750
0.615 0.000 0.250
```